Standard (29.29/1013) Altitude Encoder Output

Record 1
Computed, not measured: a relaxed structure of Pr2ReB2 at the PBE-GGA level of DFT.

Cell lengths 6.9425, 5.4607, 10.7778 Å; angles 90.00, 90.00, 90.00 degrees
Space group Pnma (No. 62)
Unique sites:
Pr 0.0171 0.2500 0.2256
Pr 0.2054 0.2500 0.5445
Re 0.2303 0.2500 0.8555
B 0.0329 0.7500 0.2433
B 0.1966 0.7500 0.5357

***

Record 2
Computed, not measured: a relaxed structure of PmBiN2O at the PBE-GGA level of DFT.

Cell lengths 8.7079, 5.8446, 5.8622 Å; angles 90.00, 90.00, 90.00 degrees
Space group Ima2 (No. 46)
Unique sites:
Pm 0.2500 0.0278 0.0000
Bi 0.0000 0.0000 0.5143
N 0.0797 0.2433 0.2596
O 0.2500 0.6276 0.0554

***

Record 3
Computed, not measured: a relaxed structure of ReAgSn2 at the PBE-GGA level of DFT.

Cell lengths 6.8430, 6.8430, 6.8430 Å; angles 90.00, 90.00, 90.00 degrees
Space group F-43m (No. 216)
Unique sites:
Re 0.0000 0.0000 0.0000
Ag 0.2500 0.2500 0.2500
Sn 0.0000 0.0000 0.5000
Sn 0.2500 0.2500 0.7500

***

The records above yield total DFT energy (no corrections) values of -7.10 -6.62 -4.94 eV/atom, respectively.

* * * * *

LiCoSe2: optimized geometry, PBE.

a = 11.9329 Å, b = 3.4200 Å, c = 4.2314 Å
α = 90.00°, β = 109.98°, γ = 90.00°
Closest atoms and distances in Å follow each position.
Positions (direct):
1 Li 0.0000 0.0000 0.0000  5 Se 2.66-2.78, 1 Co 2.79
2 Li 0.5000 0.5000 0.0000  5 Se 2.66-2.78, 1 Co 2.79
3 Co 0.1829 0.0000 0.7295  4 Se 2.31-2.36
4 Co 0.6829 0.5000 0.7295  4 Se 2.31-2.36
5 Se 0.0396 0.5000 0.5449  2 Co 2.36
6 Se 0.2871 0.5000 0.0723  2 Co 2.31
7 Se 0.5396 0.0000 0.5449  2 Co 2.36
8 Se 0.7871 0.0000 0.0723  2 Co 2.31

Output
total magnetization	3.09	μB per cell
SG	No. 8
E_form (uncorrected)	-0.373	eV/atom
mass density	4.58	g/cm³

LiCo2Se: optimized geometry, PBE.

a = 3.6171 Å, b = 3.6171 Å, c = 7.4307 Å
α = 90.00°, β = 90.00°, γ = 90.00°
Closest atoms and distances in Å follow each position.
Positions (direct):
1 Li 0.0000 0.0000 0.0000  8 Co 2.56-2.59, 4 Se 2.59
2 Li 0.5000 0.5000 0.5000  8 Co 2.56-2.59, 4 Se 2.59
3 Co 0.0000 0.0000 0.5000  4 Li 2.56, 4 Co 2.59, 4 Se 2.59
4 Co 0.0000 0.5000 0.7500  4 Se 2.56, 4 Co 2.59, 4 Li 2.59
5 Co 0.5000 0.0000 0.2500  4 Se 2.56, 4 Li 2.59, 4 Co 2.59
6 Co 0.5000 0.5000 0.0000  4 Li 2.56, 4 Se 2.59, 4 Co 2.59
7 Se 0.0000 0.5000 0.2500  8 Co 2.56-2.59, 4 Li 2.59
8 Se 0.5000 0.0000 0.7500  8 Co 2.56-2.59, 4 Li 2.59

Output
total magnetization	5.19	μB per cell
SG	No. 119
E_form (uncorrected)	0.016	eV/atom
mass density	6.96	g/cm³

LiCo2Se: optimized geometry, PBE.

a = 3.0150 Å, b = 3.0150 Å, c = 5.3252 Å
α = 90.00°, β = 90.00°, γ = 90.00°
Closest atoms and distances in Å follow each position.
Positions (direct):
1 Li 0.0000 0.0000 0.0000  8 Co 2.52, 2 Se 2.66
2 Co 0.5000 0.5000 0.2522  4 Se 2.51, 4 Li 2.52, 2 Co 2.64-2.69
3 Co 0.5000 0.5000 0.7478  4 Se 2.51, 4 Li 2.52, 2 Co 2.64-2.69
4 Se 0.0000 0.0000 0.5000  8 Co 2.51, 2 Li 2.66

Output
total magnetization	0.81	μB per cell
SG	No. 123
E_form (uncorrected)	0.181	eV/atom
mass density	6.99	g/cm³
## Here the article continues


New Member
Mar 18, 2007
We are - just like plenty of other EFIS users before here in the forum - looking for a option to always supply pressure (standard, 29.29/1013) altitude on the Encoder serial transmit (EFIS DB25 pin #13, GND #21), regardless the baro settings.

Assuming the displayed altitude is software calculated based on the baro settings, it should not be that difficult to maintain both altitude numbers in the system.

Here what the EFIS-D100 Installation Guide, P/N 100478-000, Revision E, For use with firmware version 5.0, says:

"Altitude Encoder Wiring

The EFIS-D100 outputs its altitude measurements in one of four standard serial
outputs and is readable by many modern transponders. The EFIS-D100 will function properly whether or not this altitude encoder functionality is used. To use the EFIS-D100‘s altitude encoder functionality, simply wire the 2 encoder connections (GND and Encoder Transmit) from the DB25 connector to their respective connections on your transponder.

Per ATC/FAA requirements, the serial encoder output of the EFIS-D100 reports pressure altitude, which, by definition, is indicated altitude when the baro is set to 29.92. So, when you set your EFIS-D100‘s baro adjustment to 29.92, its indicated altitude will match the altitude that is being reported to your transponder"

Inserted here: materials data >
*P*
# DyYMg

Crystalline DyYMg at its relaxed geometry (GGA-PBE, the Alexandria database).

DOS(E_F)	6.37	states/eV per cell

a = 3.698 Å, b = 5.460 Å, c = 8.792 Å
α = 90.00°, β = 102.16°, γ = 90.00°
Element x y z (fractional)
Y 0.591 0.750 0.183
Y 0.409 0.250 0.817
Mg 0.066 0.250 0.134
Mg 0.934 0.750 0.866
Dy 0.727 0.250 0.455
Dy 0.273 0.750 0.545

---

*Q*
# DyYMg

Crystalline DyYMg at its relaxed geometry (GGA-PBE, the Alexandria database).

DOS(E_F)	8.50	states/eV per cell

a = 6.398 Å, b = 6.398 Å, c = 5.360 Å
α = 90.00°, β = 90.00°, γ = 65.03°
Element x y z (fractional)
Mg 0.750 0.750 0.500
Mg 0.250 0.250 0.500
Dy 0.500 0.000 0.000
Dy 0.000 0.500 0.000
Y 0.250 0.750 0.500
Y 0.750 0.250 0.500

---

*R*
# DyYMg

Crystalline DyYMg at its relaxed geometry (GGA-PBE, the Alexandria database).

DOS(E_F)	7.44	states/eV per cell

a = 5.387 Å, b = 3.464 Å, c = 10.065 Å
α = 69.91°, β = 89.99°, γ = 90.00°
Element x y z (fractional)
Y 0.477 0.386 0.921
Y 0.977 0.898 0.408
Mg 0.977 0.719 0.084
Mg 0.476 0.564 0.244
Dy 0.977 0.060 0.748
Dy 0.477 0.225 0.580

---

*S*
# DyYMg

Crystalline DyYMg at its relaxed geometry (GGA-PBE, the Alexandria database).

DOS(E_F)	4.08	states/eV per cell

a = 3.722 Å, b = 3.722 Å, c = 6.806 Å
α = 105.87°, β = 105.87°, γ = 90.00°
Site moments in Bohr magnetons follow the coordinates.
Element x y z (fractional)
Dy 0.323 0.323 0.646  0.12
Mg 0.667 0.667 0.334  0.00
Y 0.010 0.010 0.020  0.09

---

The calculated energies rank the structures as follows, beginning with the most stable: *P*, *S*, *R*, *Q*.

---

*P*
# Dy2Y6Mg

Crystalline Dy2Y6Mg at its relaxed geometry (GGA-PBE, the Alexandria database).

DOS(E_F)	28.28	states/eV per cell

a = 5.059 Å, b = 10.546 Å, c = 10.546 Å
α = 90.00°, β = 90.00°, γ = 90.00°
Element x y z (fractional)
Y 0.000 0.337 0.164
Y 0.500 0.498 0.668
Y 0.500 0.168 0.998
Y 0.000 0.663 0.836
Y 0.500 0.837 0.336
Y 0.000 0.998 0.832
Y 0.000 0.002 0.168
Y 0.000 0.332 0.498
Y 0.000 0.668 0.502
Y 0.500 0.832 0.002
Y 0.500 0.163 0.664
Y 0.500 0.502 0.332
Dy 0.000 0.331 0.831
Dy 0.000 0.669 0.169
Dy 0.500 0.831 0.669
Dy 0.500 0.169 0.331
Mg 0.500 0.500 0.000
Mg 0.000 0.000 0.500

---

*Q*
# Dy2Y6Mg

Crystalline Dy2Y6Mg at its relaxed geometry (GGA-PBE, the Alexandria database).

DOS(E_F)	16.36	states/eV per cell

a = 3.468 Å, b = 5.903 Å, c = 17.069 Å
α = 114.70°, β = 84.17°, γ = 72.92°
Element x y z (fractional)
Dy 0.833 0.505 0.829
Dy 0.167 0.495 0.171
Y 0.564 0.810 0.062
Y 0.775 0.177 0.273
Y 0.436 0.190 0.938
Y 0.101 0.198 0.600
Y 0.899 0.802 0.400
Y 0.225 0.823 0.727
Mg 0.500 0.500 0.500

---

The calculated energies rank the structures as follows, beginning with the most stable: *P*, *Q*.

---

*P*
# Dy2Y8Mg

Crystalline Dy2Y8Mg at its relaxed geometry (GGA-PBE, the Alexandria database).

DOS(E_F)	17.64	states/eV per cell

a = 6.402 Å, b = 9.443 Å, c = 9.443 Å
α = 41.45°, β = 71.14°, γ = 71.14°
Element x y z (fractional)
Y 0.281 0.850 0.342
Y 0.682 0.202 0.202
Y 0.281 0.342 0.850
Y 0.719 0.658 0.150

The actual implementation does make the encoder output of the EFIS virtually useless. When flying in lower airspaces, CTR, ATZ or similar, all traffic has to switch to QNH - without interfering or falsifying the transponder altitude - especially in the Mode S environments. Currently, the only work-around is to install an additional, independent serial encoder, adding weight and unwanted complexity.

Thus, we kindly ask Dynon Avionics to add a set-up option (not to change the default or previous behavior), allowing to set the encoder serial transmit on pin #13 to standard 29.29/1013, regardless the baro settings.

Or can Dynon Support confirm - regardless various postings in the forum here - the encoder altitude is always standard based on 29.29/1013 and does not change when altering the baro scale on the front end?
Experimental Aviation of Switzerland
SportAviation of Switzerland
Czech Sport Aircraft factory representative for A, CH, D


New Member
May 20, 2009
I'll agree with this - should be a simple software change to do, and otherwise risks annoying air traffic controllers (very busy air space here in Europe), and also even worse risk of compromising flight safety and vertical seperation if the wrong settings are used....

Please look at this request urgently - currently the only safe solution I think is to use a separate alticoder - especially if others fly the plane.



_Calculated crystals that have nothing to do with the piece_
┌──
A plane-wave DFT calculation with GGA+U was carried out for a relaxed structure of LiV3O8. Values from VASP.

Geometry as Quantum ESPRESSO input:
```
&SYSTEM
  ibrav = 0, nat = 12, ntyp = 3
/
ATOMIC_SPECIES
O 16.00 O.upf
V 50.94 V.upf
Li 6.94 Li.upf
ATOMIC_POSITIONS angstrom
O 9.772 2.742 6.938
O 10.027 2.813 3.153
O 6.675 1.873 7.072
O 12.075 3.388 4.985
O 6.208 1.742 2.224
O 8.149 2.286 4.834
O 2.325 0.652 1.845
O 4.491 1.260 5.143
V 6.515 1.828 5.458
V 9.888 2.774 4.819
V 7.641 2.144 1.510
Li 4.335 1.216 2.016
CELL_PARAMETERS angstrom
6.440 0.004 0.003
5.502 3.347 0.003
2.335 0.655 7.107
```

**Symmetry**: Cm
**Excess energy over the best structure of this formula in the dataset**: 75 kJ/mol of formula units


(1)
DFT (GGA-PBE) results for crystalline LiCu2Bi at its relaxed geometry.

The calculation puts the calculated total energy at -3.337 eV/atom. The symmetry is F-43m, No. 216.

Lattice parameters (Å, degrees): 4.502 4.502 4.502 60.00 60.00 60.00
Sites, in units of the cell vectors:
Bi 0.000 0.000 0.000
Cu 0.750 0.750 0.750
Cu 0.500 0.500 0.500
Li 0.250 0.250 0.250

(2)
DFT (GGA-PBE) results for crystalline LiCu2Bi at its relaxed geometry.

The calculation puts the calculated total energy at -3.291 eV/atom. The symmetry is Pm-3m, No. 221.

Lattice parameters (Å, degrees): 6.413 6.413 6.413 90.00 90.00 90.00
Sites, in units of the cell vectors:
Bi 0.500 0.500 0.500
Bi 0.500 0.500 0.000
Bi 0.000 0.500 0.500
Bi 0.500 0.000 0.500
Cu 0.787 0.787 0.787
Cu 0.213 0.213 0.787
Cu 0.787 0.787 0.213
Cu 0.787 0.213 0.213
Cu 0.213 0.787 0.213
Cu 0.213 0.787 0.787
Cu 0.787 0.213 0.787
Cu 0.213 0.213 0.213
Li 0.000 0.500 0.000
Li 0.000 0.000 0.500
Li 0.000 0.000 0.000
Li 0.500 0.000 0.000

(3)
DFT (GGA-PBE) results for crystalline LiLuCuBi at its relaxed geometry.

The energy above the most stable polymorph in this dataset is 156.9 meV/atom. The symmetry is F-43m, No. 216.

Lattice parameters (Å, degrees): 4.946 4.946 4.946 60.00 60.00 60.00
Sites, in units of the cell vectors:
Bi 0.000 0.000 0.000
Li 0.500 0.500 0.500
Lu 0.250 0.250 0.250
Cu 0.750 0.750 0.750

(4)
DFT (GGA-PBE) results for crystalline LiLuCuBi at its relaxed geometry.

The energy above the most stable polymorph in this dataset is 0.0 meV/atom. The symmetry is F-43m, No. 216.

Lattice parameters (Å, degrees): 4.847 4.847 4.847 60.00 60.00 60.00
Sites, in units of the cell vectors:
Bi 0.000 0.000 0.000
Cu 0.750 0.750 0.750
Li 0.250 0.250 0.250
Lu 0.500 0.500 0.500

(5)
DFT (GGA-PBE) results for crystalline LiCuBiMo at its relaxed geometry.

The energy above the most stable polymorph in this dataset is 0.0 meV/atom. The symmetry is F-43m, No. 216.

Lattice parameters (Å, degrees): 4.581 4.581 4.581 60.00 60.00 60.00
Sites, in units of the cell vectors:
Li 0.500 0.500 0.500
Bi 0.000 0.000 0.000
Mo 0.250 0.250 0.250
Cu 0.750 0.750 0.750

(6)
DFT (GGA-PBE) results for crystalline LiCuBiMo at its relaxed geometry.
└──
_Here the piece continues_

Dynon Technical Support
Staff member
Mar 23, 2005
The encoder output ALWAYS outputs at 29.92/1013, just like you want. It always has, from the very first D10 shipped back in 2003.

You're mis-reading the statement from the manual. If you read the statement more simply, it might make more sense:
"Per ATC/FAA requirements, the serial encoder output of the EFIS-D100 reports pressure altitude"

It's saying if you want the displayed altitude to match the encoder out, you must manually set the QNH to 29.92, because the encoder out is always at 29.92. Since the encoder is always at 29.92, if your QNH is anything but 29.92, they won't match.

We are not saying it only outputs when you are at 29.92 or anything else like that.

We have this statement in the manual because a lot of people called us and complained that their Garmin 327 was saying 2200 feet while the altimeter said 2400 feet. They were of course at a different QNH, but they had no idea transponders always output at 29.92.

Anyway, it does what you want, so no changes needed.